Checking in


I just want to come by and say hello to you all. I have not been writing on here for awhile and feel guilty about not sharing what is going on with me. I want to help others that might be going through my issues. I am fighting the vaginal cuff beast. Is anyone else going through this too? I see a lot of familiar names and I am happy to see them. I miss seeing a lot of sisters that have gone, but never forget all their help they gave all of us. Calaudia, I miss reading your helpful posts. Glad to be back to share.



  • debrajo
    debrajo Member Posts: 1,095 Member

    So glad to see your post!  I am fighting the same beast and loosing badly.  Nothing has worked for me and has, in part, cost me my marriage of 45 years.  In my chemo brain fog I cannot find the word to explain to him that this is not something I chose to do.  There is even less to work with now than what was expected since I tend to have more scare tissue build-up than the average person.  It's hard to explain sickness to someone who has never been sick a day in his life and would rather "die" than be made like I am.  Hope your troubles are less severe and more correctable than mine.  Would I do all of it over again?  You bet I would!  I may be in the rocking chair, but I'm not ready for the grave!  Don't be a stranger!  Best, Debrajo

  • NoTimeForCancer
    NoTimeForCancer Member Posts: 3,448 Member
    Sharon, don't feel guilty

    Sharon, don't feel guilty about not posting.  I think we are all happy you are out and hopefully busy. 

  • california_artist
    california_artist Member Posts: 816 Member
    Hi, Sharon,

    Nice to have input from you. Been thinking about all of us who began here in late '08 and '09. Wonder how many of us are left alive and well.

    I tend not to think about cancer anymore unless I meet someone who has it and then, can't seem to shut up, remember how I was.

    Still do think one of the best drinks for cancer fighting is:


    I/4 tsp of turmeric

    1 tblspn warmed olive oil

    ten turns of the black pepper mill

    Add those and some italian seasonins, maybe a clove of garlic for good measure, to some tomato sauce, blend it up and drink it. Make two of these a day, or double the turmeric/pepper/olive oil amount and have it one time.

    Any who, love all you women out there.

    You are all extremely brave to try and tackle this stupid disease.


    Anyone who wants to copy and paste or print out my painting, is more than welcome to do so and hope you enjoy it. Maybe it will remind you that I'm alive and kicking after 7 and half years. so there's that.


  • california_artist
    california_artist Member Posts: 816 Member
    Ah, Sharon

    I was thinking about the vaginal cuff thing and wanted to share a thought I had a while back.

    You know I'm a firm believer in all things food, as a slow down or stop measure. ONe of the things I read a long time ago was that ginger, just plain old ginger was as good as chemo in killing cancer when used directly. So, I wondered if some sort of ginger, ah, shall we say, internal through the external application, if you know what I mean, might have some encouraging results. Ah, put it where the vaginal cuff issues are and either leave it there for a bit or use it as a wash. Give it a go if you want and let me know how it works. Will most likely sting like the dickens.


    I used this procedure on a very black nasty looking black mole that appeared rather suddenly on my lower eyelid. I would slice off a piece of ginger root and hold it on the mole for possibly 15 to 30 seconds. I remeber it was a very short time. Then the next day, I was able to scrape off the tissue that had died from the previous days application and would repeat the process. Did this for a week to ten days, each day scraping to expose the next layer til it was gone. Has not come back in a number of years, maybe four.





  • Editgrl
    Editgrl Member Posts: 903 Member

    Ah, Sharon

    I was thinking about the vaginal cuff thing and wanted to share a thought I had a while back.

    You know I'm a firm believer in all things food, as a slow down or stop measure. ONe of the things I read a long time ago was that ginger, just plain old ginger was as good as chemo in killing cancer when used directly. So, I wondered if some sort of ginger, ah, shall we say, internal through the external application, if you know what I mean, might have some encouraging results. Ah, put it where the vaginal cuff issues are and either leave it there for a bit or use it as a wash. Give it a go if you want and let me know how it works. Will most likely sting like the dickens.


    I used this procedure on a very black nasty looking black mole that appeared rather suddenly on my lower eyelid. I would slice off a piece of ginger root and hold it on the mole for possibly 15 to 30 seconds. I remeber it was a very short time. Then the next day, I was able to scrape off the tissue that had died from the previous days application and would repeat the process. Did this for a week to ten days, each day scraping to expose the next layer til it was gone. Has not come back in a number of years, maybe four.

-- What comes next are quantum chemistry results, not part of the page --
┌──
Entry 1:
Computed, not measured: C26H24ClIN4O5PtS as an isolated structure in a non-equilibrium geometry, with ωB97M-V/def2-TZVPD.

Positions of all 63 atoms, in Å:
1 Pt -0.13 -0.03 -1.15
2 Cl -2.27 6.53 -0.76
3 C -1.28 5.11 -0.92
4 C 0.08 5.22 -0.84
5 C 0.90 4.09 -0.98
6 I 2.97 4.32 -0.95
7 C 0.38 2.81 -1.18
8 O 1.07 1.72 -1.35
9 C -1.03 2.74 -1.25
10 N -1.51 1.48 -1.45
11 C -2.80 1.30 -1.65
12 C -3.71 2.37 -1.60
13 C -3.26 3.63 -1.34
14 C -1.88 3.86 -1.16
15 H 0.53 6.19 -0.67
16 H -3.15 0.29 -1.83
17 H -4.76 2.17 -1.77
18 H -3.95 4.47 -1.28
19 C -4.96 -0.48 4.86
20 C -4.43 -0.89 3.52
21 C -3.79 0.02 2.68
22 C -3.36 -0.35 1.42
23 C -3.56 -1.65 0.99
24 C -4.17 -2.59 1.81
25 C -4.59 -2.20 3.08
26 S -3.12 -2.12 -0.66
27 O -3.87 -1.29 -1.56
28 O -3.30 -3.53 -0.78
29 N -1.56 -1.70 -0.78
30 C -0.54 -2.61 -0.65
31 C -0.55 -3.99 -0.36
32 C 0.64 -4.67 -0.34
33 C 1.84 -3.99 -0.59
34 C 1.78 -2.65 -0.84
35 N 0.62 -1.98 -0.87
36 H -4.69 0.55 5.09
37 H -4.57 -1.12 5.65
38 H -6.05 -0.56 4.88
39 H -3.64 1.04 3.02
40 H -2.86 0.36 0.77
41 H -4.31 -3.60 1.45
42 H -5.06 -2.93 3.73
43 H -1.49 -4.49 -0.19
44 H 0.65 -5.73 -0.13
45 H 2.79 -4.51 -0.57
46 H 2.67 -2.07 -1.01
47 O 3.15 1.08 1.20
48 C 3.47 0.72 0.10
49 O 2.70 -0.06 -0.66
50 C 4.82 1.06 -0.54
51 N 4.90 0.42 -1.87
52 C 5.86 -0.71 -1.81
53 C 6.05 -0.97 -0.32
54 C 5.95 0.43 0.28
55 H 4.89 2.14 -0.60
56 H 5.12 1.07 -2.60
57 H 3.20 -0.10 -1.51
58 H 6.81 -0.44 -2.27
59 H 5.46 -1.57 -2.34
60 H 7.00 -1.46 -0.11
61 H 5.25 -1.60 0.07
62 H 6.88 0.98 0.10
63 H 5.73 0.45 1.35

Summary:
Energy above the lowest of the compared OMol25 structures with the same formula, charge and spin   114.6 kJ/mol
2S+1   1
Highest occupied orbital energy   -7.7 eV

=====

Entry 2:
Computed, not measured: C30H42F24GaO5 as an isolated structure in a non-equilibrium geometry, with ωB97M-V/def2-TZVPD.

Positions of all 102 atoms, in Å:
1 C -0.18 0.37 1.92
2 C -1.31 0.78 1.87
3 Ga -3.12 1.49 1.31
4 C -3.90 0.20 -0.09
5 C -5.43 0.05 0.01
6 C -5.96 -1.29 -0.52
7 C -6.37 -1.30 -1.99
8 C -5.44 -0.59 -2.96
9 C -4.06 -1.26 -3.09
10 C -3.04 -0.28 -3.68
11 C -1.55 -0.63 -3.50
12 C -1.26 -1.44 -2.26
13 O 0.14 -1.43 -2.01
14 C 0.43 -1.97 -0.74
15 C -2.81 3.37 0.56
16 C -3.22 3.55 -0.88
17 C -4.75 3.62 -1.02
18 O -2.65 4.79 -1.39
19 H 0.81 -0.03 1.87
20 H -4.14 1.48 2.55
21 H -3.62 0.62 -1.07
22 H -3.44 -0.78 0.02
23 H -5.70 0.17 1.06
24 H -5.93 0.87 -0.52
25 H -6.83 -1.58 0.07
26 H -5.19 -2.04 -0.35
27 H -6.43 -2.35 -2.30
28 H -7.38 -0.91 -2.10
29 H -5.28 0.43 -2.62
30 H -5.91 -0.51 -3.94
31 H -3.78 -1.59 -2.09
32 H -4.17 -2.10 -3.77
33 H -3.24 -0.24 -4.75
34 H -3.23 0.73 -3.32
35 H -0.99 0.30 -3.38
36 H -1.13 -1.11 -4.38
37 H -1.61 -2.48 -2.38
38 H -1.78 -1.03 -1.39
39 H 1.47 -2.27 -0.71
40 H -0.19 -2.86 -0.56
41 H 0.20 -1.26 0.06
42 H -3.38 4.07 1.18
43 H -1.75 3.62 0.63
44 H -2.84 2.73 -1.49
45 H -5.11 3.03 -1.87
46 H -5.07 4.64 -1.18
47 H -5.23 3.24 -0.12
48 H -2.31 4.64 -2.27
49 C 2.18 0.08 4.54
50 C 2.41 1.21 5.55
51 C 3.71 2.01 5.43
└──
-- Here the page continues --





    Claudia, I am relatively

    new to this board, having been diagnosed in June, but I have read many of your past posts with great interest.  While I have for the moment chosen to do chemo, I am also convinced that what we put in our bodies and the stresses that we subject our bodies to has a great deal to do with our health and functioning in general.  Thank you for your very informative posts over the years.  I am thrilled to hear that you are doing so well.


  • Kaleena
    Kaleena Member Posts: 2,088 Member

    Ah, Sharon

    I was thinking about the vaginal cuff thing and wanted to share a thought I had a while back.

    You know I'm a firm believer in all things food, as a slow down or stop measure. ONe of the things I read a long time ago was that ginger, just plain old ginger was as good as chemo in killing cancer when used directly. So, I wondered if some sort of ginger, ah, shall we say, internal through the external application, if you know what I mean, might have some encouraging results. Ah, put it where the vaginal cuff issues are and either leave it there for a bit or use it as a wash. Give it a go if you want and let me know how it works. Will most likely sting like the dickens.


    I used this procedure on a very black nasty looking black mole that appeared rather suddenly on my lower eyelid. I would slice off a piece of ginger root and hold it on the mole for possibly 15 to 30 seconds. I remeber it was a very short time. Then the next day, I was able to scrape off the tissue that had died from the previous days application and would repeat the process. Did this for a week to ten days, each day scraping to expose the next layer til it was gone. Has not come back in a number of years, maybe four.





    Always nice to hear from you

    Always nice to hear from you Claudia!    I bounce off and on here too.   I also am hanging in there!   Always love looking at your paintings.   Can't think at the moment.  Having a PET scan tomorrow and feel hungry - lol





  • Kaleena
    Kaleena Member Posts: 2,088 Member
    Hi Sharon!
    I don't know how I

    Hi Sharon!

    I don't know how I missed your post.   Nice to hear from you too!   


